### Entries
........
<one>
This record from OMol25 describes a cluster of 2 separate species, C3H4O2S2 in total. The level of theory is ωB97M-V/def2-TZVPD.

Properties
HOMO level = -9.1 eV
SMILES = O=C(S)S.C=C=O

ORCA input file:
```
! wB97M-V def2-TZVPD RIJCOSX def2/J DEFGRID3
* xyz 0 1
O -0.033 -0.972 1.695
C -0.442 -0.963 0.577
S 0.240 -1.813 -0.858
S -2.058 -0.297 0.112
H -0.630 -1.174 -1.834
H -2.538 0.053 1.324
C 0.517 1.107 -0.272
C 1.805 0.894 -0.055
O 2.891 0.536 0.065
H -0.012 1.673 0.481
H 0.260 0.954 -1.236
*
```

=====

<two>
This record from OMol25 describes the molecule C3H4O2S2. The level of theory is ωB97M-V/def2-TZVPD.

Properties
HOMO level = -9.1 eV
SMILES = O=CSCC(O)=S

ORCA input file:
```
! wB97M-V def2-TZVPD RIJCOSX def2/J DEFGRID3
* xyz 0 1
O 3.070 -0.821 -0.671
C 1.918 -0.831 -0.289
S 1.252 0.649 0.281
C -0.409 0.273 0.871
C -1.470 0.269 -0.202
O -1.268 1.095 -1.230
S -2.782 -0.758 -0.117
H 1.139 -1.545 -0.380
H -0.366 -0.655 1.359
H -0.786 0.988 1.622
H -0.298 1.336 -1.246
*
```

=====

<three>
This record from OMol25 describes the molecule C3H4O2S2. The level of theory is ωB97M-V/def2-TZVPD.

Properties
HOMO level = -9.4 eV
SMILES = O=[S@@]1(=S)C=CCO1

ORCA input file:
```
! wB97M-V def2-TZVPD RIJCOSX def2/J DEFGRID3
* xyz 0 1
O 1.719 -1.693 -1.090
S 1.376 -0.496 -0.393
S 2.566 0.873 0.206
C -0.145 0.472 -1.208
C -1.034 0.490 -0.242
C -0.792 -0.304 0.957
O 0.454 -0.885 0.891
H 0.197 1.193 -1.868
H -1.911 1.017 -0.288
H -0.963 0.477 1.867
H -1.466 -1.144 1.169
*
```

=====

Winner for stability: <two>

=====

<one>
This record from OMol25 describes a structure of composition C15H21NO4. The level of theory is ωB97M-V/def2-TZVPD.

Properties
HOMO level = -8.7 eV

ORCA input file:
```
! wB97M-V def2-TZVPD RIJCOSX def2/J DEFGRID3
* xyz 0 1
C 1.839 -3.910 5.137
H 1.135 -3.264 5.602
H 2.569 -4.117 5.639
H 1.280 -4.932 4.883
C 2.262 -3.497 3.649
C 3.325 -4.245 3.106
H 3.738 -3.726 2.233
H 4.020 -4.478 3.670
H 2.718 -5.284 2.861
C 1.011 -3.097 2.865
C -0.147 -2.051 3.655
O -1.130 -1.846 2.667
C -0.656 -1.020 1.409
C 0.398 -0.144 1.412
C 0.547 0.539 0.234
C -0.320 0.871 -0.527
C -1.472 0.158 -0.506
C -1.687 -0.679 0.687
H -2.851 -1.178 0.751
H -2.411 0.369 -1.024
C -0.296 1.653 -1.818
H 0.702 2.385 -1.497
C -1.470 2.828 -1.740
O -2.084 3.041 -2.601
O -1.813 3.325 -0.711
H -0.964 3.213 -0.061
C -0.040 0.897 -3.221
C 0.306 1.836 -4.187
O 1.766 1.809 -4.321
N -0.345 2.565 -4.972
H -1.471 2.646 -4.607
H -0.077 3.026 -5.685
H 0.403 0.115 -2.957
H -1.091 0.571 -3.479
H 1.603 1.122 0.149
H 1.129 -0.214 2.130
H -0.652 -2.639 4.252
H 0.643 -0.998 3.997
H 0.440 -4.026 2.784
H 1.298 -2.688 2.143
H 2.805 -2.239 4.011
*
```

=====

<two>
This record from OMol25 describes the molecule C15H21NO4. The level of theory is ωB97M-V/def2-TZVPD.

Properties
HOMO level = -8.4 eV
SMILES = CCCCOCCCNC(=O)c1ccc2c(c1)OCO2

ORCA input file:
```
! wB97M-V def2-TZVPD RIJCOSX def2/J DEFGRID3
* xyz 0 1
C 5.248 3.141 -3.314
C 5.086 2.084 -2.229
C 3.847 1.221 -2.456
C 3.650 0.202 -1.329
O 3.537 0.779 -0.043
C 2.314 1.416 0.249
C 1.183 0.436 0.583
C -0.071 1.181 1.041
N -1.168 0.281 1.307
C -2.171 0.090 0.413
O -2.252 0.718 -0.625
C -3.179 -0.941 0.802
C -3.858 -1.584 -0.226
C -4.821 -2.556 0.020
C -5.086 -2.848 1.337
C -4.421 -2.193 2.377
C -3.463 -1.240 2.141
O -4.885 -2.661 3.577
C -5.865 -3.628 3.264
O -5.977 -3.742 1.861
H 6.138 3.739 -3.134
H 4.386 3.805 -3.335
H 5.341 2.672 -4.292
H 5.005 2.565 -1.253
H 5.969 1.442 -2.208
H 2.967 1.863 -2.535
H 3.939 0.673 -3.396
H 2.780 -0.430 -1.552
H 4.533 -0.439 -1.260
H 2.526 2.038 1.124
H 1.999 2.072 -0.572
H 1.527 -0.242 1.368
H 0.932 -0.160 -0.296
H 0.142 1.762 1.944
H -0.411 1.857 0.252
H -1.060 -0.365 2.071
H -3.621 -1.305 -1.241
H -5.342 -3.056 -0.779
H -2.991 -0.728 2.964
H -5.573 -4.601 3.690
H -6.835 -3.322 3.687
*
```

=====

Winner for stability: <two>

=====

<one>
This record from OMol25 describes a cluster of 2 separate species, C4H10O2S in total. The level of theory is ωB97M-V/def2-TZVPD.

Properties
........

### To do
Copy everything further above character by character.

### Response
<one>
This record from OMol25 describes a cluster of 2 separate species, C3H4O2S2 in total. The level of theory is ωB97M-V/def2-TZVPD.

Properties
HOMO level = -9.1 eV
SMILES = O=C(S)S.C=C=O

ORCA input file:
```
! wB97M-V def2-TZVPD RIJCOSX def2/J DEFGRID3
* xyz 0 1
O -0.033 -0.972 1.695
C -0.442 -0.963 0.577
S 0.240 -1.813 -0.858
S -2.058 -0.297 0.112
H -0.630 -1.174 -1.834
H -2.538 0.053 1.324
C 0.517 1.107 -0.272
C 1.805 0.894 -0.055
O 2.891 0.536 0.065
H -0.012 1.673 0.481
H 0.260 0.954 -1.236
*
```

=====

<two>
This record from OMol25 describes the molecule C3H4O2S2. The level of theory is ωB97M-V/def2-TZVPD.

Properties
HOMO level = -9.1 eV
SMILES = O=CSCC(O)=S

ORCA input file:
```
! wB97M-V def2-TZVPD RIJCOSX def2/J DEFGRID3
* xyz 0 1
O 3.070 -0.821 -0.671
C 1.918 -0.831 -0.289
S 1.252 0.649 0.281
C -0.409 0.273 0.871
C -1.470 0.269 -0.202
O -1.268 1.095 -1.230
S -2.782 -0.758 -0.117
H 1.139 -1.545 -0.380
H -0.366 -0.655 1.359
H -0.786 0.988 1.622
H -0.298 1.336 -1.246
*
```

=====

<three>
This record from OMol25 describes the molecule C3H4O2S2. The level of theory is ωB97M-V/def2-TZVPD.

Properties
HOMO level = -9.4 eV
SMILES = O=[S@@]1(=S)C=CCO1

ORCA input file:
```
! wB97M-V def2-TZVPD RIJCOSX def2/J DEFGRID3
* xyz 0 1
O 1.719 -1.693 -1.090
S 1.376 -0.496 -0.393
S 2.566 0.873 0.206
C -0.145 0.472 -1.208
C -1.034 0.490 -0.242
C -0.792 -0.304 0.957
O 0.454 -0.885 0.891
H 0.197 1.193 -1.868
H -1.911 1.017 -0.288
H -0.963 0.477 1.867
H -1.466 -1.144 1.169
*
```

=====

Winner for stability: <two>

=====

<one>
This record from OMol25 describes a structure of composition C15H21NO4. The level of theory is ωB97M-V/def2-TZVPD.

Properties
HOMO level = -8.7 eV

ORCA input file:
```
! wB97M-V def2-TZVPD RIJCOSX def2/J DEFGRID3
* xyz 0 1
C 1.839 -3.910 5.137
H 1.135 -3.264 5.602
H 2.569 -4.117 5.639
H 1.280 -4.932 4.883
C 2.262 -3.497 3.649
C 3.325 -4.245 3.106
H 3.738 -3.726 2.233
H 4.020 -4.478 3.670
H 2.718 -5.284 2.861
C 1.011 -3.097 2.865
C -0.147 -2.051 3.655
O -1.130 -1.846 2.667
C -0.656 -1.020 1.409
C 0.398 -0.144 1.412
C 0.547 0.539 0.234
C -0.320 0.871 -0.527
C -1.472 0.158 -0.506
C -1.687 -0.679 0.687
H -2.851 -1.178 0.751
H -2.411 0.369 -1.024
C -0.296 1.653 -1.818
H 0.702 2.385 -1.497
C -1.470 2.828 -1.740
O -2.084 3.041 -2.601
O -1.813 3.325 -0.711
H -0.964 3.213 -0.061
C -0.040 0.897 -3.221
C 0.306 1.836 -4.187
O 1.766 1.809 -4.321
N -0.345 2.565 -4.972
H -1.471 2.646 -4.607
H -0.077 3.026 -5.685
H 0.403 0.115 -2.957
H -1.091 0.571 -3.479
H 1.603 1.122 0.149
H 1.129 -0.214 2.130
H -0.652 -2.639 4.252
H 0.643 -0.998 3.997
H 0.440 -4.026 2.784
H 1.298 -2.688 2.143
H 2.805 -2.239 4.011
*
```

=====

<two>
This record from OMol25 describes the molecule C15H21NO4. The level of theory is ωB97M-V/def2-TZVPD.

Properties
HOMO level = -8.4 eV
SMILES = CCCCOCCCNC(=O)c1ccc2c(c1)OCO2

ORCA input file:
```
! wB97M-V def2-TZVPD RIJCOSX def2/J DEFGRID3
* xyz 0 1
C 5.248 3.141 -3.314
C 5.086 2.084 -2.229
C 3.847 1.221 -2.456
C 3.650 0.202 -1.329
O 3.537 0.779 -0.043
C 2.314 1.416 0.249
C 1.183 0.436 0.583
C -0.071 1.181 1.041
N -1.168 0.281 1.307
C -2.171 0.090 0.413
O -2.252 0.718 -0.625
C -3.179 -0.941 0.802
C -3.858 -1.584 -0.226
C -4.821 -2.556 0.020
C -5.086 -2.848 1.337
C -4.421 -2.193 2.377
C -3.463 -1.240 2.141
O -4.885 -2.661 3.577
C -5.865 -3.628 3.264
O -5.977 -3.742 1.861
H 6.138 3.739 -3.134
H 4.386 3.805 -3.335
H 5.341 2.672 -4.292
H 5.005 2.565 -1.253
H 5.969 1.442 -2.208
H 2.967 1.863 -2.535
H 3.939 0.673 -3.396
H 2.780 -0.430 -1.552
H 4.533 -0.439 -1.260
H 2.526 2.038 1.124
H 1.999 2.072 -0.572
H 1.527 -0.242 1.368
H 0.932 -0.160 -0.296
H 0.142 1.762 1.944
H -0.411 1.857 0.252
H -1.060 -0.365 2.071
H -3.621 -1.305 -1.241
H -5.342 -3.056 -0.779
H -2.991 -0.728 2.964
H -5.573 -4.601 3.690
H -6.835 -3.322 3.687
*
```

=====

Winner for stability: <two>

=====

<one>
This record from OMol25 describes a cluster of 2 separate species, C4H10O2S in total. The level of theory is ωB97M-V/def2-TZVPD.

Properties